-- Excerpt --
=====
(1)
Computed powder X-ray diffraction pattern of Sm2Al5Au3 for copper Kα, from a cell relaxed with PBE.
Intensities are scaled so that the largest is 100.

Atomic structure:
abc: 10.7947 12.0835 6.1638
angles: 90.00 90.00 90.00
Space group Ibam (No. 72)
Asymmetric unit:
1 Sm 0.2389 0.1299 0.0000 (multiplicity 8)
2 Al 0.0000 0.0000 0.2500 (multiplicity 4)
3 Al 0.0000 0.2610 0.2500 (multiplicity 8)
4 Al 0.1462 0.3873 0.0000 (multiplicity 8)
5 Au 0.0000 0.5000 0.2500 (multiplicity 4)
6 Au 0.1246 0.1304 0.5000 (multiplicity 8)

Largest 10 diffraction maxima, by intensity, 2θ from 5° to 70°:
(3 2 1), 32.4 deg, I = 100
(0 4 2), 41.9 deg, I = 73
(2 0 2), 33.5 deg, I = 46
(1 3 0), 23.6 deg, I = 43
(2 4 0), 34.0 deg, I = 42
(1 1 2), 31.1 deg, I = 40
(5 2 1), 47.1 deg, I = 37
(3 1 0), 25.8 deg, I = 34
(3 2 3), 53.6 deg, I = 33
(2 1 1), 23.1 deg, I = 32

(2)
Computed powder X-ray diffraction pattern of YAl7Au3 for copper Kα, from a cell relaxed with PBE.
Intensities are scaled so that the largest is 100.

Atomic structure:
abc: 8.1046 8.1046 21.1108
angles: 90.00 90.00 120.00
Space group R-3c (No. 167, hexagonal axes)
Asymmetric unit:
1 Y 0.0000 0.0000 0.0000 (multiplicity 6)
2 Al 0.0000 0.0000 0.2500 (multiplicity 6)
3 Al 0.0105 0.2063 0.1367 (multiplicity 36)
4 Au 0.0000 0.3235 0.2500 (multiplicity 18)

Largest 10 diffraction maxima, by intensity, 2θ from 5° to 70°:
(1 1 3), 25.4 deg, I = 100
(2 2 3), 46.6 deg, I = 47
(1 1 9), 44.6 deg, I = 32
(3 0 0), 38.5 deg, I = 30
(1 1 6), 33.7 deg, I = 24
(3 0 12), 66.5 deg, I = 22
(4 1 3), 62.0 deg, I = 17
(1 1 0), 21.9 deg, I = 9
(2 2 9), 60.4 deg, I = 6
(2 2 6), 52.1 deg, I = 6

(3)
Computed powder X-ray diffraction pattern of Ba2Nd2Al3B12O27 for copper Kα, from a cell relaxed with PBE.
Intensities are scaled so that the largest is 100.

Atomic structure:
abc: 4.6452 4.6452 24.5332
angles: 90.00 90.00 120.00
Space group P-62m (No. 189)
Asymmetric unit:
1 Ba 0.0000 0.0000 0.1468 (multiplicity 2)
2 Nd 0.0000 0.0000 0.2999 (multiplicity 2)
3 Al 0.0000 0.6270 0.5000 (multiplicity 3)
4 B 0.3333 0.6667 0.0679 (multiplicity 4)
5 B 0.3333 0.6667 0.2202 (multiplicity 4)
6 B 0.3333 0.6667 0.3870 (multiplicity 4)
7 O 0.0000 0.0000 0.5000 (multiplicity 1)
8 O 0.0000 0.4120 0.2473 (multiplicity 6)
9 O 0.0000 0.4122 0.3703 (multiplicity 6)
10 O 0.0000 0.4205 0.0633 (multiplicity 6)
11 O 0.3333 0.6667 0.1648 (multiplicity 4)
12 O 0.3333 0.6667 0.4522 (multiplicity 4)

Largest 10 diffraction maxima, by intensity, 2θ from 5° to 70°:
(1 0 7), 33.9 deg, I = 100
(0 0 2), 7.2 deg, I = 94
(1 0 2), 23.3 deg, I = 83
(1 0 5), 28.7 deg, I = 72
(1 0 0), 22.1 deg, I = 63
(1 1 0), 38.8 deg, I = 50
(1 1 7), 46.9 deg, I = 49
(1 0 6), 31.2 deg, I = 48
(2 0 0), 45.1 deg, I = 35
(0 0 5), 18.1 deg, I = 27

~~~~~

(1)
# Pr5TlCo
Computed PXRD pattern, Cu Kα, 1.54184 Å. Input: a structure optimized by DFT (GGA-PBE).
Neutral-atom scattering factors, no anomalous dispersion.

Principal peaks in the range 2θ from 15° to 90°, in order of falling intensity:
| 2theta | I/Imax | index |
| --- | --- | --- |
| 31.0 | 100 | 2 0 -4 |
| 30.4 | 85 | 2 2 0 |
| 29.9 | 61 | 2 2 -1 |
| 30.9 | 59 | 1 1 3 |
| 31.6 | 55 | 2 2 -2 |
| 33.0 | 54 | 4 0 -2 |
| 27.2 | 43 | 2 0 2 |
| 43.2 | 40 | 4 2 0 |
| 29.7 | 40 | 0 2 2 |
| 32.2 | 34 | 3 1 1 |

Cell and atoms:
```
data_Pr5TlCo
_chemical_formula_sum 'Pr20 Tl4 Co4'
_cell_length_a 10.9577
_cell_length_b 7.1670
_cell_length_c 11.8028
_cell_angle_alpha 90.00
_cell_angle_beta 109.53
_cell_angle_gamma 90.00
_symmetry_space_group_name_H-M 'C 1 2/c 1'
_symmetry_Int_Tables_number 15
loop_
_symmetry_equiv_pos_as_xyz
'x,y,z'
'-x,-y,-z'
'-x,y,-z+1/2'
'x,-y,z+1/2'
'x+1/2,y+1/2,z'
'-x+1/2,-y+1/2,-z'
'-x+1/2,y+1/2,-z+1/2'
'x+1/2,-y+1/2,z+1/2'
loop_
_atom_site_label
_atom_site_fract_x
_atom_site_fract_y
_atom_site_fract_z
Pr1 0.0000 0.0031 0.2500
Pr2 0.1200 0.3203 0.0483
Pr3 0.2188 0.1915 0.6359
Tl1 0.0000 0.4658 0.7500
Co1 0.0000 0.0000 0.0000
```

(2)
# Li3ThPt3
=====

-- What to do --
Count the lines above that contain the word "loop_" and give the number alone.

-- Done --
2